Storytelling Success

 Claire Sharp
 11th Dec 2018

The piece is interrupted by crystal structures.
********
[1]
For Eu2Er4C, a cell relaxed with PBE gives the calculated XRD peak list in this record (Cu Ka).
Neutral-atom scattering factors, no anomalous dispersion.

Largest 10 diffraction maxima, in order of falling intensity, 2θ from 10° to 90°:
d [Å]	2theta	intensity
2.779	32.21	100
3.260	27.36	69
2.465	36.45	62
2.950	30.29	39
1.891	48.12	37
1.476	62.95	32
1.922	47.30	29
3.069	29.10	24
1.743	52.50	22
1.500	61.86	19

Structural model:
```
data_Eu2Er4C
_cell_length_a 4.9299
_cell_length_b 4.9299
_cell_length_c 18.4135
_cell_angle_alpha 90.00
_cell_angle_beta 90.00
_cell_angle_gamma 90.00
_space_group_name_H-M_alt 'P 1'
_space_group_IT_number 1
loop_
_space_group_symop_operation_xyz
'x,y,z'
loop_
_atom_site_label
_atom_site_fract_x
_atom_site_fract_y
_atom_site_fract_z
_atom_site_occupancy
Eu1 0.0000 0.0000 0.1748 1
Eu2 0.0000 0.0000 0.8252 1
Eu3 0.5000 0.5000 0.3252 1
Eu4 0.5000 0.5000 0.6748 1
Er1 0.0000 0.0000 0.3742 1
Er2 0.0000 0.0000 0.6258 1
Er3 0.0000 0.5000 0.0000 1
Er4 0.0000 0.5000 0.5000 1
Er5 0.5000 0.0000 0.0000 1
Er6 0.5000 0.0000 0.5000 1
Er7 0.5000 0.5000 0.1258 1
Er8 0.5000 0.5000 0.8742 1
C1 0.0000 0.0000 0.5000 1
C2 0.5000 0.5000 0.0000 1
```

***

[2]
For Er3FeC3, a cell relaxed with PBE gives the calculated XRD peak list in this record (Cu Ka).
Neutral-atom scattering factors, no anomalous dispersion.

Largest 10 diffraction maxima, in order of falling intensity, 2θ from 10° to 90°:
d [Å]	2theta	intensity
2.718	32.95	100
2.504	35.86	32
2.544	35.28	24
2.663	33.65	22
2.696	33.23	18
1.484	62.61	16
1.785	51.18	16
1.607	57.32	12
1.835	49.69	12
2.097	43.15	11

Structural model:
```
data_Er3FeC3
_cell_length_a 6.5935
_cell_length_b 6.5935
_cell_length_c 5.0086
_cell_angle_alpha 90.00
_cell_angle_beta 90.00
_cell_angle_gamma 101.01
_space_group_name_H-M_alt 'P 1'
_space_group_IT_number 1
loop_
_space_group_symop_operation_xyz
'x,y,z'
loop_
_atom_site_label
_atom_site_fract_x
_atom_site_fract_y
_atom_site_fract_z
_atom_site_occupancy
Er1 0.1079 0.8921 0.7500 1
Er2 0.1659 0.4079 0.7500 1
Er3 0.4079 0.1659 0.2500 1
Er4 0.5921 0.8341 0.7500 1
Er5 0.8341 0.5921 0.2500 1
Er6 0.8921 0.1079 0.2500 1
Fe1 0.3023 0.6977 0.2500 1
Fe2 0.6977 0.3023 0.7500 1
C1 0.1232 0.8768 0.2500 1
C2 0.1718 0.4297 0.2500 1
C3 0.4297 0.1718 0.7500 1
C4 0.5703 0.8282 0.2500 1
C5 0.8282 0.5703 0.7500 1
C6 0.8768 0.1232 0.7500 1
```

***

Repeat the second record exactly.
For Er3FeC3, a cell relaxed with PBE gives the calculated XRD peak list in this record (Cu Ka).
Neutral-atom scattering factors, no anomalous dispersion.

Largest 10 diffraction maxima, in order of falling intensity, 2θ from 10° to 90°:
d [Å]	2theta	intensity
2.718	32.95	100
2.504	35.86	32
2.544	35.28	24
2.663	33.65	22
2.696	33.23	18
1.484	62.61	16
1.785	51.18	16
1.607	57.32	12
1.835	49.69	12
2.097	43.15	11

Structural model:
```
data_Er3FeC3
_cell_length_a 6.5935
_cell_length_b 6.5935
_cell_length_c 5.0086
_cell_angle_alpha 90.00
_cell_angle_beta 90.00
_cell_angle_gamma 101.01
********
End of the crystal structures.

Last week I had the pleasure of facilitating SCVO Digital’s Storytelling Success: Describing your Digital Journey event at the William Quarrier Epilepsy Centre in Govan, Glasgow as part of our digital participation practitioner events programme. 

We were delighted to host attendees from over 15 organisations who are doing fantastic work around digital inclusion throughout the country. It was an interesting and informative day and I would like to thank everyone who came along, especially our speakers, for their enthusiasm and willingness to participate. 

I enjoyed hearing everyone’s stories, particularly the real-life examples of how organisations are helping people in communities around Scotland to become digitally included. It was also great to have some open and honest discussions about methods of reporting and measuring impact that didn’t work for people and gave me the opportunity to share some of my own mistakes! 

We had three excellent speakers from a variety of organisations who have all received Digital Participation Charter funding via SCVO. We heard about their digital journeys, from where they started, where they are currently and what they hope to achieve in the future. They also shared invaluable advice about what tools they have used to measure their achievemnts and to report back on the work they are doing.   

First up was Fiona Temple from Airdrie Citizen’s Advice Bureau (CAB) who showed us a video they produced using Biteable to promote their digital services after receiving Charter Fund money from SCVO. Fiona spoke about the work they are doing in Airdrie to support their residents and took plenty of questions from some of the other CAB members in the room. The CAB has just received additional funding to set up a digital financial service in the area and we look forward to hearing what happens next. 

Our second speaker was Debs Allan from Linstone Housing Association in Renfrewshire. Linstone recently took part in SCVO’s Digital Champion training and are committed to supporting their tenants to improve their Essential Digital Skills. They are currently in the process of setting up a public digital pod in their main office and have also produced a video, which they have posted on You Tube. Linstone also currently offer digital drop ins through their Connect Up project, which have been well attended by people in the area. 

1.
Starting from a cell relaxed with GGA-PBE, the X-ray diffraction stick pattern of Ce2ThBi3 was calculated for a wavelength of 1.5418 Å.
Kinematic intensities with the Lorentz-polarization factor, no thermal factor.

Largest 6 diffraction maxima, in order of rising 2θ, 5 to 70 degrees two-theta:
2θ 27.40, rel. 100
2θ 39.14, rel. 79
2θ 48.44, rel. 29
2θ 56.55, rel. 14
2θ 63.94, rel. 26
2θ 64.01, rel. 13

Structural model:
```
Ce2ThBi3
1.0
6.5143 0.0000 0.0000
0.0000 13.8049 0.0000
-0.0177 0.0000 9.2006
Ce Th Bi
8 4 12
Cartesian
1.6225 3.4569 1.1477
1.6137 3.4456 5.7480
1.6272 8.0536 1.1443
1.6184 12.6538 5.7446
4.8783 1.1511 3.4560
4.8695 5.7513 8.0563
4.8830 10.3593 3.4526
4.8741 10.3480 8.0529
1.6212 8.0573 5.7525
1.6300 12.6500 1.1522
4.8667 1.1549 8.0484
4.8755 5.7476 3.4481
1.6098 1.1499 8.0469
1.6186 5.7525 3.4466
1.6207 1.1501 3.4447
1.6119 5.7524 8.0450
1.6260 10.3500 3.4494
1.6171 10.3573 8.0497
4.8796 3.4476 1.1509
4.8707 3.4549 5.7512
4.8848 8.0525 1.1556
4.8760 12.6548 5.7559
4.8780 8.0524 5.7540
4.8869 12.6550 1.1537
```

=====

2.
Starting from a cell relaxed with GGA-PBE, the X-ray diffraction stick pattern of Ce2ThBi3 was calculated for a wavelength of 1.5418 Å.
Kinematic intensities with the Lorentz-polarization factor, no thermal factor.

Largest 6 diffraction maxima, in order of rising 2θ, 5 to 70 degrees two-theta:
2θ 27.40, rel. 100
2θ 39.14, rel. 79
2θ 48.44, rel. 29
2θ 56.55, rel. 14
2θ 63.95, rel. 32
2θ 64.01, rel. 6

Structural model:
```
Ce2ThBi3
1.0
-2.2995 3.2548 6.9105
2.2995 -3.2548 6.9105
2.2995 3.2548 -6.9105
Ce Th Bi
2 1 3
Cartesian
0.0000 0.0000 2.3062
0.0000 0.0000 11.5149
0.0000 0.0000 6.9105
2.2995 0.0000 0.0000
2.2995 0.0000 4.6059
0.0000 3.2548 2.3047
```

=====

3.
Starting from a cell relaxed with GGA-PBE, the X-ray diffraction stick pattern of CeTmTh2Bi5 was calculated for a wavelength of 1.5418 Å.
Kinematic intensities with the Lorentz-polarization factor, no thermal factor.

Largest 6 diffraction maxima, in order of rising 2θ, 5 to 70 degrees two-theta:
2θ 7.45, rel. 67
2θ 23.37, rel. 70
2θ 27.85, rel. 43
2θ 32.65, rel. 63
2θ 33.29, rel. 100
2θ 45.51, rel. 55

Structural model:
```
CeTmTh2Bi5
1.0
5.3833 0.0000 0.0000
0.0000 5.3833 0.0000
0.0000 0.0000 11.8642
Ce Tm Th Bi
1 1 2 5
Cartesian
0.0000 0.0000 0.0000
0.0000 0.0000 5.9321
2.6916 2.6916 3.6099
2.6916 2.6916 8.2542
0.0000 0.0000 2.9772
0.0000 0.0000 8.8869
0.0000 2.6916 5.9321
2.6916 0.0000 5.9321
2.6916 2.6916 0.0000
```

=====

4.
Starting from a cell relaxed with GGA-PBE, the X-ray diffraction stick pattern of CeYTh2Bi5 was calculated for a wavelength of 1.5418 Å.
Kinematic intensities with the Lorentz-polarization factor, no thermal factor.

Largest 6 diffraction maxima, in order of rising 2θ, 5 to 70 degrees two-theta:
2θ 7.44, rel. 48
2θ 23.17, rel. 65
2θ 27.67, rel. 56
2θ 32.48, rel. 80
2θ 33.00, rel. 100
2θ 45.26, rel. 51

Structural model:
```
CeYTh2Bi5
1.0
5.4282 0.0000 0.0000
0.0000 5.4282 0.0000
0.0000 0.0000 11.8826
Ce Y Th Bi

Our last speaker was Libby Bligh from the Libertie Project, a social enterprise based in the Highlands who run arts and crafts for ex-offenders, people at risk of offending and their families and carers. She shared some case studies of service users they had supported to improve their digital skills and details of some of their current projects, including the brilliant Christmas for £25 Digital Challenge.

Libby also led the group through a Brief Digital Intervention (a quick and informal way of teaching someone a new digital skill) and had us all signed up and logged in to the Learn My Way website in under five minutes! She went on to explain how they record these interventions and use the data to report back to their funders, in addition to demonstrating the real-life social impact the project is having in their community. 

We concluded the event with festive canapes and some networking. I enjoyed being able to put some names to faces of people I haven’t met and there was plenty of buzz in the room.  

One of the main topics I kept hearing popping up in conversation was around supporting young and/or vulnerable people to stay safe online and I’m pleased to be able to share that this will be the subject of one of our next practitioner events in the new year. 

If this is something you, or someone in your organisation, would be interested in attending please sign up to our fortnightly e:bulletin and keep an eye on our twitter @digiscot for more information.